
The Way Blog

Sep 12 2021

C2 Mastery. The Ultimate C2 English Course

C2 MASTERY. THE ULTIMATE C2 ENGLISH COURSE   «This is the book that I wish I had found when I started teaching advanced English, quite a few years ago… … so I decided to create it.» Javier Blanco    …

Sep 06 2021

Your time saving solution for modern teaching

Every time you download a worksheet you are saving yourself between 2 and 5 hours of work or study. Multiply that for the hundreds of worksheets that you need every course, and you’ll be fascinated at the amount of EXTRA…

Sep 06 2021

The Neuroscience behind The Way’s Method

Our brains are always changing as a result of environment and experience. Thanks to breakthroughs in neuroscience in the last two decades, we now know how the brain responds during learning, allowing us to design learning experiences that make the…

Dic 27 2020

Spice it up a bit! How to elaborate a story around a mediation activity

You know that we humans always love a good story and that when you connect to the story because you can relate to it, or to someone in the story because you have felt the same way, your brain stops…

Dic 03 2020

Generational Differences: A Mediation with information we could all do with in real life

How many generations do you interact with at work every day? How are they coping with the challenges of changing times at the speed of light? Work as we knew it has changed so much in the past 7 months that…

Oct 05 2020

Pleased to Meet Me (C2 Complete Series)

LISTENING: QUIZ What learning style are you? And why it doesn’t matter! Everyone learns differently. YouTuber Elise tells us about the main different learning styles and sets a quiz for us to find out what type of learner we are….

May 04 2020

Popular Mediations on tests that truly happen in Real Life.

PROCESSING TEXTS In our Mediation Series today we are looking at popular mediations on tests that truly happen in daily life. I was browsing a news website looking for suitable articles to use as source texts in our mediations when I…

Abr 20 2020

EXAM PACK 2020 – A Priceless Bonus with your subscription.

At The Way Experience we really mean it when we say that we want to make your life easier when it comes to Linguistic Mediation. This time we have gone a step further, by preparing an EXAM PACK that includes…

Abr 12 2020

How summaries can improve your students’ ability to mediate.

How oral and written summaries can improve your students’ ability to mediate, regardless of the kind of mediation they’ll have to face in their exams.   ONE. Because summarizing is a key microskill that we activate when we mediate both written and oral…

Feb 28 2020

The Way Experience in EOI Toledo

Yesterday we presented The Way Experience in EOI Raimundo de Toledo. Wonderful day in Toledo. Such a charming city. We adore this atmosphere,  a live melting pot of cultures in the old town, with its cobbled streets and hundreds of…

Nov 29 2019

The Way Experience en EOI El Fuero de Logroño

Nuestro tour por las EOIs de todo el país nos trae esta mañana a la EOI El Fuero de Logroño. En este link podéis ver una introducción al concepto de Mediación Lingüística y sus elementos principales. LA MEDIACIÓN LINGÜÍSTICA Y…

Nov 29 2019

The Way Experience in EOI Burgos

Nuestro tour por las EOIs de todo el país nos trae esta semana hasta Burgos.  Llegamos ayer bajo una cortina de agua y nos encantó pasear por el casco antiguo, casi desierto. Y volvimos a visitar La Favorita, taberna urbana…

Nov 15 2019

**What comes next are calculated crystals, not part of the article**
┌──
# Tb3Ni2 GGA-PBE relaxed
data_Tb3Ni2
_symmetry_space_group_name_H-M 'P 1'
_symmetry_Int_Tables_number 1
_cell_length_a 6.8428
_cell_length_b 6.8428
_cell_length_c 9.4990
_cell_angle_alpha 74.77
_cell_angle_beta 74.77
_cell_angle_gamma 31.06
loop_
_symmetry_equiv_pos_as_xyz
'x,y,z'
loop_
_atom_site_label
_atom_site_fract_x
_atom_site_fract_y
_atom_site_fract_z
Tb1 0.1313 0.1313 0.0023
Tb2 0.8687 0.8687 0.9977
Tb3 0.4032 0.4032 0.6732
Tb4 0.5968 0.5968 0.3268
Tb5 0.1441 0.1441 0.6321
Tb6 0.8559 0.8559 0.3679
Ni1 0.5351 0.5351 0.8562
Ni2 0.4649 0.4649 0.1438
Ni3 0.7437 0.7437 0.7730
Ni4 0.2563 0.2563 0.2270
# DFT total energy (eV/atom): -5.439
# Energy of formation (eV per formula unit): -1.73
# Space-group type: No. 12



# Na3MgAlP2SO12 GGA-PBE relaxed
data_Na3MgAlP2SO12
_symmetry_space_group_name_H-M 'P 1'
_symmetry_Int_Tables_number 1
_cell_length_a 8.8054
_cell_length_b 8.7407
_cell_length_c 21.6459
_cell_angle_alpha 91.10
_cell_angle_beta 90.00
_cell_angle_gamma 120.25
loop_
_symmetry_equiv_pos_as_xyz
'x,y,z'
loop_
_atom_site_label
_atom_site_fract_x
_atom_site_fract_y
_atom_site_fract_z
Na1 0.3596 0.3553 0.2470
Na2 0.9960 0.6323 0.2458
Na3 0.6363 0.6323 0.7458
Na4 0.9957 0.3553 0.7470
Na5 0.0262 0.6886 0.5804
Na6 0.6627 0.9656 0.5792
Na7 0.3029 0.9656 0.0792
Na8 0.6624 0.6886 0.0804
Na9 0.6929 0.0219 0.9137
Na10 0.3293 0.2989 0.9125
Na11 0.9696 0.2989 0.4125
Na12 0.3290 0.0219 0.4137
Na13 0.9834 0.9867 0.4973
Na14 0.0033 0.9867 0.9973
Na15 0.6501 0.3201 0.8306
Na16 0.6700 0.3201 0.3306
Na17 0.3167 0.6534 0.1639
Na18 0.3367 0.6534 0.6639
Mg1 0.9941 0.9974 0.3519
Mg2 0.0034 0.9974 0.8519
Mg3 0.6607 0.3308 0.6852
Mg4 0.6700 0.3308 0.1852
Mg5 0.3274 0.6641 0.0185
Mg6 0.3367 0.6641 0.5185
Al1 0.9919 0.0111 0.6488
Al2 0.0192 0.0111 0.1488
Al3 0.6585 0.3444 0.9821
Al4 0.6859 0.3444 0.4821
Al5 0.3252 0.6778 0.3155
Al6 0.3526 0.6778 0.8155
P1 0.2943 0.9967 0.2514
P2 0.0054 0.2945 0.2526
P3 0.2891 0.2945 0.7526
P4 0.7025 0.9967 0.7514
P5 0.9609 0.3300 0.5848
P6 0.6721 0.6278 0.5859
P7 0.9557 0.6278 0.0859
P8 0.3691 0.3300 0.0848
P9 0.6276 0.6634 0.9181
P10 0.3387 0.9611 0.9193
P11 0.6224 0.9611 0.4193
P12 0.0358 0.6634 0.4181
S1 0.7022 0.7136 0.2485
S2 0.0115 0.7136 0.7485
S3 0.3689 0.0470 0.5819
S4 0.6781 0.0470 0.0819
S5 0.0355 0.3803 0.9152
S6 0.3448 0.3803 0.4152
O1 0.2121 0.0267 0.3091
O2 0.8154 0.7958 0.3028
O3 0.9828 0.1950 0.3119
O4 0.2122 0.1950 0.8119
O5 0.9804 0.7958 0.8028
O6 0.8145 0.0267 0.8091
O7 0.7888 0.9605 0.6932
O8 0.1617 0.1975 0.6965
O9 0.0326 0.8166 0.6917
O10 0.7840 0.8166 0.1917
O11 0.0358 0.1975 0.1965
O12 0.1717 0.9605 0.1932
O13 0.8788 0.3600 0.6424
O14 0.4821 0.1291 0.6362
O15 0.6494 0.5283 0.6452
O16 0.8789 0.5283 0.1452
O17 0.6471 0.1291 0.1362
O18 0.4812 0.3600 0.1424
O19 0.4555 0.2939 0.0265
O20 0.8284 0.5309 0.0298
O21 0.6993 0.1500 0.0251
O22 0.4507 0.1500 0.5251
O23 0.7025 0.5309 0.5298
O24 0.8384 0.2939 0.5265
O25 0.5455 0.6933 0.9758
O26 0.1488 0.4625 0.9695
O27 0.3161 0.8617 0.9786
O28 0.5455 0.8617 0.4786
└──

Escalas de Evaluación

Presentación Este post que estás leyendo es el resumen de la ponencia que di en las III Jornadas Giele el pasado 16 de Noviembre de 2019 en Donostia. #thewayGiele #Donostia2019 #Giele2019 (por si quieres saber más de lo que allí…

Nov 15 2019

The Way Experience in EOI BILBAO #thewayEOIBilbao

So we are presenting in EOI Bilbao today. Such a wonderful day in Bilbao City. Ever so rainy and cold. We adore this atmosphere, beautiful old town with its spotless streets, supreme culinary scene and wonderfully courteous people. It really…

Nov 15 2019

The Way Experience en EOI Getxo #thewayEOIGetxo

Hoy presentamos en EOI Getxo, Bilbao. Qué maravilla estar de vuelta en Las Arenas. Iremos al puente colgante, a ver si esta vez subimos hasta lo alto. Y nos tomaremos unos pintxos mirando al Nervión, justo allí donde se encuentra con…

Nov 14 2019

The cultural component in The Way’s Method & Materials – The World of Truffle

How do you tackle the cultural component in Mediation in a way that is meaningful and that is connected to real-life, creating authentic situations and connecting people to meaningful learning? The Way Experience does it all for you and helps…

== Inserted here: calculated crystals ==
Material: TeI4
Method: DFT, PBE
State: relaxed

Structure (POSCAR):
```
TeI4
1.0
11.620 0.000 0.000
0.000 14.431 0.000
-3.184 0.000 22.721
Te I
16 64
Direct
0.045 0.138 0.189
0.045 0.362 0.689
0.173 0.146 0.393
0.173 0.354 0.893
0.235 0.630 0.169
0.235 0.870 0.669
0.360 0.629 0.374
0.360 0.871 0.874
0.640 0.129 0.126
0.640 0.371 0.626
0.765 0.130 0.331
0.765 0.370 0.831
0.827 0.646 0.107
0.827 0.854 0.607
0.955 0.638 0.311
0.955 0.862 0.811
0.016 0.743 0.699
0.016 0.757 0.199
0.058 0.517 0.094
0.058 0.983 0.594
0.077 0.023 0.093
0.077 0.477 0.593
0.119 0.242 0.985
0.119 0.258 0.485
0.135 0.742 0.884
0.135 0.758 0.384
0.176 0.512 0.284
0.176 0.988 0.784
0.193 0.018 0.275
0.193 0.482 0.775
0.223 0.238 0.675
0.223 0.262 0.175
0.273 0.748 0.579
0.273 0.752 0.079
0.308 0.528 0.472
0.308 0.972 0.972
0.313 0.016 0.462
0.313 0.484 0.962
0.353 0.240 0.867
0.353 0.260 0.367
0.390 0.748 0.257
0.390 0.752 0.757
0.410 0.502 0.154
0.410 0.998 0.654
0.463 0.007 0.150
0.463 0.493 0.650
0.496 0.239 0.561
0.496 0.261 0.061
0.504 0.739 0.939
0.504 0.761 0.439
0.537 0.507 0.350
0.537 0.993 0.850
0.590 0.002 0.346
0.590 0.498 0.846
0.610 0.248 0.243
0.610 0.252 0.743
0.647 0.740 0.633
0.647 0.760 0.133
0.687 0.516 0.038
0.687 0.984 0.538
0.692 0.028 0.028
0.692 0.472 0.528
0.727 0.248 0.921
0.727 0.252 0.421
0.777 0.738 0.825
0.777 0.762 0.325
0.807 0.518 0.225
0.807 0.982 0.725
0.824 0.012 0.216
0.824 0.488 0.716
0.865 0.242 0.616
0.865 0.258 0.116
0.881 0.742 0.515
0.881 0.758 0.015
0.923 0.523 0.407
0.923 0.977 0.907
0.942 0.017 0.406
0.942 0.483 0.906
0.984 0.243 0.801
0.984 0.257 0.301
```

The space group is P2_1/c, No. 14. For the total magnetization, the calculation gives 0.00 μB/atom. The calculation puts the formation energy from the elements at -0.423 eV/atom.

***

Material: TbGe2Pd
Method: DFT, PBE
State: relaxed

Structure (POSCAR):
```
TbGe2Pd
1.0
-2.171 4.410 8.263
2.171 -4.410 8.263
2.171 4.410 -8.263
Tb Ge Pd
4 8 4
Direct
0.202 0.202 0.000
0.240 0.000 0.240
0.760 0.000 0.760
0.798 0.798 0.000
0.074 0.574 0.500
0.152 0.802 0.350
0.425 0.425 0.000
0.452 0.802 0.650
0.548 0.198 0.350
0.575 0.575 0.000
0.848 0.198 0.650
0.926 0.426 0.500
0.102 0.352 0.750
0.397 0.648 0.750
0.603 0.352 0.250
0.898 0.648 0.250
```

The space group is Immm, No. 71. The calculation puts the formation energy from the elements at -0.774 eV/atom.

***

Material: KSn2F5
Method: DFT, PBE
State: relaxed

Structure (POSCAR):
```
KSn2F5
1.0
7.392 0.000 0.000
-3.696 6.402 0.000
0.000 0.000 56.585
K Sn F
18 36 90
Direct
0.000 0.000 0.000
0.000 0.000 0.163
0.000 0.000 0.328
0.000 0.000 0.496
0.000 0.000 0.665
0.000 0.000 0.833
0.333 0.667 0.157
0.333 0.667 0.322
0.333 0.667 0.489
0.333 0.667 0.658
0.333 0.667 0.826
0.333 0.667 0.994
0.667 0.333 0.159
0.667 0.333 0.326
0.667 0.333 0.492
0.667 0.333 0.660
0.667 0.333 0.828
0.667 0.333 0.995
0.000 0.340 0.382
0.000 0.340 0.882
0.005 0.675 0.769
0.009 0.674 0.602
0.325 0.330 0.769
0.326 0.335 0.602
0.333 0.328 0.104
0.334 0.328 0.271

Nov 05 2019

The Way’s Feedback Method

What’s all the fuss about this feedback method that looks so promising it almost sounds magical? Oh, well, there was actually a time when we told our students that if they carried out the second phase of The Way’s Feedback…

Oct 06 2019

Linguistic Mediation. A little less theory and a lot more practice.

It’s been quite a while now since teachers like you and me started reading and talking about linguistic mediation. In the last two years, we have attended numerous conferences, seminars, and webinars, and I’m pretty sure most of you have…

© 2025. The Way Experience
Design & development: Daniel Caballero